Derby Management's "Competitive Edge" Blog

Tufts...and, of course, Sales

Written by Jack Derby, Head Coach | Tue, May 12, 2015


By now, everyone who has read this blog for any time at all realizes that one of the hats I wear is that I lecture in the School of Engineering's ELS (Entrepreneurial Leadership Studies) program at Tufts.



Jack, the Professor, & David Meerman Scott, The Guru of Inbound   

For the last 7 years, Spring, for me, has been marked by watching the Hill come alive with students shrugging off the last vestiges of the winter, while I worry about how this semester's six student teams are going to finish their semester-long projects and present their marketing plans perfectly to their management teams in a short number of weeks.  One thing about teaching that one learns very quickly, just like in Sales, is that there is no elasticity in the end of the semester when you're teaching...or the end of the quarter or the month, when you're a salesperson

It's also always a tight squeeze with balancing the requirements of final exams in other classes and all of the students' various graduation activities, but it always gets done...and, the results are always successful, both for the management of the six companies and, of course, for the students

The key to this course's success is the fact that it combines bright, highly committed juniors and seniors with real-life. complex marketing assignments. Many of these projects take the form of developing detailed marketing plans for new products or services, both strategic and tactical, while other projects are analytical and research-focused research projects. 

Last semester, the Inbound Markerting guru, David Meerman Scott stopped by to say hello.  Reading David's book, The New Rules of PR & Marketing and learning to use the Hubspot COS platform are just two of the critical requirements for success in this class.

Now I'm starting to get prepared for my fall marketing course...

Each semester I look for six complex marketing assignments that are given to five person teams of juniors and seniors as semester-long projects. All of the course material during the semester is then taught around these projects.

A syllabus along with the project outlines are sent to the students in early July with the requirement that they do research on the companies and quickly define in writing before they come to the first class during the first week of September, exactly why they should be accepted into the class to work on any of these particular projects. This is a very desired course, and currently, I have 46 students signed up among the categories of Registered, the official "Wait List" and then the longer, unoffical "Wait-Wait List"., I need to bring total attendance down to no more than 32 by the end of the first class in September, and the summer homework of reviewing project plans, doing research on the companies and completing reading assignments constitute the means through which I measure the motivation and committment of students coming into the course.

The piece is interrupted by calculated molecules.
'''
(1)
The following is a quantum chemistry calculation of a structure of composition C37H24MoN10Se2, from OMol25.

```
! wB97M-V def2-TZVPD RIJCOSX def2/J DEFGRID3
* xyz 2 1
Mo -1.3523 -0.4539 -0.2059
C 1.2507 -2.1378 5.6248
C 0.4631 -1.0996 6.1089
C -0.4233 -0.4099 5.2795
C -0.4741 -0.8008 3.9593
C -1.2838 -0.3354 2.8286
N -0.9702 -1.0947 1.7238
C -0.0225 -2.0022 2.0519
N 0.4782 -2.9102 1.2403
C 0.4161 -2.8430 -0.0651
C 0.6974 -3.9426 -0.9954
C 1.0126 -5.2667 -0.7780
C 1.2434 -6.0541 -1.9070
C 1.1714 -5.5228 -3.1897
C 0.8658 -4.1779 -3.4036
C 0.6255 -3.4076 -2.2863
C 0.3049 -1.9836 -2.1363
N 0.2661 -1.1029 -3.1069
C -0.2356 0.1088 -2.9805
N -1.1123 0.4960 -2.0275
C -1.4345 1.8247 -2.2074
N -2.3040 2.4569 -1.4824
C -2.7244 2.0578 -0.2991
N -1.9652 1.3525 0.5956
C -2.6763 1.1647 1.7527
N -2.2017 0.5840 2.8353
C -3.9773 1.8199 1.6117
C -5.0401 1.9443 2.4815
C -6.1529 2.6484 2.0213
C -6.1828 3.2050 0.7474
C -5.1026 3.0832 -0.1268
C -4.0076 2.3795 0.3281
C -0.7042 2.3248 -3.3782
C -0.6844 3.5573 -3.9939
C 0.1171 3.6826 -5.1303
C 0.8508 2.6093 -5.6221
C 0.8188 1.3600 -5.0001
C 0.0349 1.2445 -3.8725
N 0.1711 -1.7092 -0.7993
C 0.3158 -1.8476 3.4728
C 1.1866 -2.5368 4.2883
H 1.9211 -2.6509 6.3006
H 0.5354 -0.8260 7.1527
H -1.0428 0.3902 5.6601
H 1.0772 -5.6778 0.2196
H 1.4848 -7.1010 -1.7839
H 1.3578 -6.1672 -4.0378
H 0.8176 -3.7611 -4.4001
H -5.0116 1.5167 3.4741
H -7.0113 2.7651 2.6685
H -7.0636 3.7447 0.4281
H -5.1261 3.5226 -1.1143
H -1.2625 4.3897 -3.6178
H 0.1656 4.6333 -5.6432
H 1.4542 2.7465 -6.5091
H 1.3771 0.5208 -5.3920
H 1.7872 -3.3541 3.9133
Se -3.2608 -1.5122 -0.5787
C 3.1969 1.4426 3.0298
N 3.6177 1.2606 1.6478
C 4.9220 1.1250 1.2226
C 4.8875 0.9690 -0.1163
N 3.5593 1.0090 -0.4927
C 3.0702 0.9398 -1.8566
C 2.7846 1.1864 0.5935
Se 0.9309 1.3920 0.6822
H 4.0735 1.6855 3.6233
H 2.7371 0.5279 3.4032
H 2.4762 2.2543 3.0836
H 5.7516 1.1598 1.9053
H 5.6768 0.8413 -0.8348
H 3.9191 0.7963 -2.5194
H 2.5540 1.8646 -2.1118
H 2.3853 0.1018 -1.9570
*
```

Calculated values
* highest occupied orbital energy (alpha / beta): -0.465 / -0.465 hartree
* orbital gap (alpha / beta): 5.111 / 5.110 eV

Atom charges from the Mulliken analysis, given in e for atoms 1 to 6: number 1, Mo, carries -0.509; number 2, C, carries -0.714; number 3, C, carries -0.673; number 4, C, carries -0.408; number 5, C, carries 0.474; number 6, C, carries -0.168

=====

(2)
The following is a quantum chemistry calculation of a structure of composition C37H25ClN6O4OsS3, from OMol25.

```
! wB97M-V def2-TZVPD RIJCOSX def2/J DEFGRID3
* xyz 2 1
Os 1.2143 0.1247 0.2662
N -4.5833 -5.5538 -1.3528
C -3.4168 -4.9744 -0.9982
C -3.3435 -4.1602 0.1517
C -2.1565 -3.5791 0.5159
C -1.0159 -3.7834 -0.2681
C -1.0698 -4.5845 -1.4125
C -2.2557 -5.1719 -1.7720
S 0.4767 -3.1053 0.2205
O 1.5743 -3.7027 -0.4665
O 0.4989 -2.8558 1.6261
N 0.5019 -1.4719 -0.4208
C 0.5391 -1.1749 -1.8045
N 0.1895 -1.9262 -2.7998
C 0.2937 -1.3422 -4.0076
C 0.7285 -0.0412 -4.1796
C 1.0874 0.6745 -3.0434
N 0.9943 0.0983 -1.8552
'''

The structure of the process always works, and, most importantly, very often this course becomes the most influential in the students' college experience, simply because of the fact that it introduces them to the inner workings of senior management teams who are deailing with the real life experiences of launching new products, assessing market opportunities and creating multi-faceted marketing campaigns.

Paige Dahlman, this extraordinary student from last semester, who is now a graduating senior and has been the Captain of the Tufts Squash Team, writes..." I can easily say that this was my most rewarding class at Tufts".  Each semester I get a number of similar notes, which, I hope points a little bit to my teaching style and to the content, but, I know that the most impactful component of this course is its unique structure of directly connecting bright students to work with senior management teams who have a need to explore a new marketing or product idea.


We've now completed 84 projects for companies which have ranged from Raytheon and Fidelity, to startup tech and apparel companies, to well established growth consumer companies, such as Paytronix and Stratton Resort, boith of whom were looking for the unique perspectives of Millennials.  One company has returned six times, four companies, four times...and so on.  And no one has been disappointed!

/*
The following is a quantum chemistry calculation of a 9-piece molecular cluster, H18O9 overall in a non-equilibrium geometry, from OMol25.

Computed properties:
* HOMO: -11.21 eV
* HOMO-LUMO gap: 10.5 eV
* LUMO: -0.6775 eV
* energy above the lowest of the compared OMol25 structures with the same formula, charge and spin: 102.0 kcal/mol

Each line ends with the Löwdin charge.
Geometry (Å):
O  4.354  0.062  2.379  -0.089
O  0.328  0.657  -0.801  -0.041
O  -0.813  0.064  3.175  -0.048
O  3.362  2.878  -3.145  -0.079
O  5.001  -1.947  0.069  -0.071
O  -5.455  0.477  0.602  -0.052
O  -1.549  -3.173  -0.814  -0.039
O  -3.362  -1.928  -2.075  -0.024
O  -2.016  4.139  0.535  -0.003
H  1.004  0.129  -0.354  0.035
H  -2.613  -2.137  -2.550  0.004
H  -2.403  -3.196  -1.268  0.008
H  -1.716  -0.235  2.821  0.075
H  3.318  2.732  -2.229  -0.011
H  -0.419  0.658  -0.222  0.003
H  3.483  -0.187  1.883  0.081
H  5.008  -0.583  2.206  -0.022
H  -4.758  0.140  -0.005  0.036
H  -2.579  3.364  0.475  0.032
H  4.245  2.526  -3.535  0.090
H  -2.151  4.388  1.384  -0.030
H  -3.399  -0.958  -2.018  0.071
H  -0.328  -0.596  2.763  -0.024
H  -1.805  -2.756  -0.046  -0.020
H  4.466  -2.636  -0.328  0.029
H  5.875  -2.178  -0.355  0.072
H  -5.077  0.296  1.455  0.016

The following is a quantum chemistry calculation of a 9-piece molecular cluster, H18O9 overall in a non-equilibrium geometry, from OMol25.

Computed properties:
* HOMO: -10.79 eV
* HOMO-LUMO gap: 10.3 eV
* LUMO: -0.4664 eV
* energy above the lowest of the compared OMol25 structures with the same formula, charge and spin: 80.0 kcal/mol

Each line ends with the Löwdin charge.
Geometry (Å):
O  -0.177  0.888  2.731  -0.053
O  2.478  -4.630  1.978  -0.059
O  -1.811  2.307  0.077  -0.061
O  0.994  -0.171  -3.430  -0.073
O  1.972  2.409  -1.079  -0.053
O  -3.221  -1.639  1.405  -0.054
O  -0.180  -0.863  -1.399  -0.049
O  3.285  -0.143  1.369  -0.053
O  -3.603  1.700  -2.029  -0.066
H  -3.358  0.773  -1.935  0.026
H  2.953  0.675  0.981  0.023
H  -1.110  0.652  2.792  0.032
H  1.578  2.714  -1.904  0.035
H  3.081  -4.255  2.629  0.036
H  1.583  -0.620  -2.813  0.031
H  -2.282  -1.454  1.287  0.013
H  -0.110  -1.234  -0.512  0.038
H  0.286  0.063  2.914  0.029
H  0.838  0.688  -3.021  0.009
H  2.707  3.016  -0.932  0.044
H  -0.883  -0.208  -1.324  0.034
H  -4.433  1.774  -1.545  0.040
H  -1.001  1.785  0.115  0.007
H  -1.555  3.100  -0.407  0.041
H  2.730  -0.829  0.982  0.020
H  -3.238  -2.515  1.807  0.041
H  2.476  -3.985  1.261  0.023

The following is a quantum chemistry calculation of a 9-piece molecular cluster, H18O9 overall in a non-equilibrium geometry, from OMol25.

Computed properties:
* HOMO: -10.05 eV
* HOMO-LUMO gap: 10.3 eV
* LUMO: 0.2709 eV
* energy above the lowest of the compared OMol25 structures with the same formula, charge and spin: 106.2 kcal/mol

Each line ends with the Löwdin charge.
Geometry (Å):
O  3.292  -0.941  2.211  -0.073
O  0.272  1.776  -5.021  -0.025
O  1.465  -3.952  3.270  -0.025
*/

No Later Than June 15th, Please...

 If you're interested in applying to be part of this very rewarding project, just let me know by email NO LATER THAN JUNE 15TH, and I will send you the instructions of what is expected of both the companies and the students.  At the end of the semester, the company's management  teams will come to Tufts for 60 minute presentations where they will also receive all of the  project material, research data and recommendations that have been prepared.   

This deadline of June 15th does not mean that the project details need to be completed by that time.  You have until September 1st do that. 

 What I do need to do is to be able to send to the students in early July a syllabus along with a package of information that includes...

  • A paragraph or two on the company and especially on its customer focus. 
  • Who are the existing customer personas?
  • An outline, in as much detail as you can provide, of the assignment.  
  • Contact information of the project leader 

It's a superbly rewarding experience...

Both for you in the added depth that you will achieve in your marketing plans, and for the students as they become introduced to the senior management from real world companies.  In a number of cases, our students go on to work as interns and employees from their host companies.  For example, we have 27 alums from this course who have gone on to work at HubSpot including some of their top salespeople, 9 at Brainshark-a number of which have now been promoted to management positions, 5 at Paytronix, 9 at Sapient Nitro, 5 at Hill Holliday, 5 at NetSuite...and the list goes on and on from large corporations, to both the Patriots (3) and the Red Sox (4), and to countless tech startups as a direct assistance of my venture friends in the city and especially as a result of James' and Maia's mentorship at Common Angels.


If you're interested, you can...

-just email me, and I will send along the instructions, complete with logistics and dates for the fall 

-just pick up the phone and call my cell at 617-504-4222 toward the end of the day

-we can figure out with a few questions and answers whether this would work for you.  


In the meantime...

Good Selling!  

Just about 7 weeks left in what is to me, the most important and impactful quarter of the year.

Have specific sales questions that you want to bounce off me or any of the other Coach Partners, just email me.




Head Coach  
Derby Management...for 25 years
-Sales & Marketing Productivity Experts
-Business & Strategy Planning Specialists
-Senior Management Coaching
-PE and Venture Fundraising

Box 171322, Boston, MA 02117
Jack's Cell: 617-504-4222 




Want to know more about Derby Management, click HERE


Plan now on attending our 2015 Sales Management Boot Camp held at the MIT Endicott House on October 4th-6th.  Over 7 years of continuing success involving 450 plus heads of sales, President and CEOs.   Discounts available registering before June 30th.